-- Material --
********
115
Properties=species:S:1:pos:R:3:forces:R:3 method="wB97M-V/def2-TZVPD" multiplicity=1 relative_energy_kcal_mol=0.0 orbital_gap_ha=0.3041 e_homo_ev=-8.51 energy_ev=-135594.2901
Na 0.995 -0.931 -0.618 -0.0050 -0.7207 0.0959
O 0.330 1.034 -1.121 0.2610 1.3640 1.1174
H 0.571 1.764 -0.493 -0.3219 -0.9022 -0.9042
C -1.064 5.566 5.535 0.0871 0.4024 -1.0001
C -0.454 6.858 4.928 -0.4731 0.0648 1.8391
O -0.936 7.044 3.640 -0.9661 0.8553 -1.2021
P -0.546 6.296 2.317 0.7873 -1.5880 0.1300
O 0.870 5.883 2.315 -0.2322 0.3786 -0.3335
O -1.549 5.058 2.197 -0.1124 -0.5333 0.5264
C -1.175 3.710 1.696 0.3548 2.0800 -0.8684
C -0.306 2.986 2.718 0.0485 1.3879 -1.0261
O -1.037 7.268 1.195 0.2322 -0.1063 0.0611
C -2.343 7.171 0.608 -0.3012 0.0292 -1.8482
C -3.344 8.017 1.372 1.5031 0.0246 2.5054
H -1.144 5.637 6.596 0.0580 0.0080 0.8310
H -2.067 5.359 5.126 0.3177 0.3688 0.1094
H -0.450 4.711 5.270 0.1351 -0.1352 0.0510
H -0.769 7.784 5.504 0.2600 -1.1457 -0.5964
H 0.640 6.836 4.948 -0.0840 -0.1185 -0.1393
H -2.113 3.253 1.405 -0.3617 -0.2278 0.9272
H -0.798 3.910 0.678 0.8850 -0.3352 0.5727
H -0.941 2.811 3.543 -0.5654 -0.5639 1.1490
H 0.061 2.083 2.286 0.2240 -0.8136 -0.1462
H 0.543 3.611 3.055 -0.4392 -0.2393 -0.4520
H -2.186 7.403 -0.495 -0.2754 0.5045 1.4371
H -2.691 6.139 0.521 0.1937 0.0581 0.4999
H -4.227 8.133 0.847 -1.6354 0.6312 -1.5757
H -3.742 7.440 2.276 1.0738 0.8118 -0.7822
H -2.907 9.031 1.705 -0.7444 -1.6188 -0.5578
C -2.935 -5.549 -0.068 -0.3456 -0.0928 -0.6636
C -1.827 -4.595 -0.492 0.4348 -1.1528 -0.7011
O -0.604 -5.103 0.147 1.1529 0.3521 -0.3763
P 0.838 -4.710 -0.387 1.3755 1.0387 1.3751
O 1.322 -3.298 -0.431 -1.1540 -1.0676 -0.3363
O 1.807 -5.489 0.672 -2.0584 0.1198 -1.2503
C 3.182 -5.229 0.428 0.8612 -0.6758 -0.7966
C 3.711 -4.019 1.113 2.0156 0.4088 -0.7327
O 1.074 -5.360 -1.824 -0.8344 -0.7893 0.0201
C 0.443 -6.612 -2.257 0.1931 -0.5206 -0.2312
C 1.505 -7.453 -2.957 0.7246 2.2068 -0.6942
H -3.074 -5.525 1.003 0.0122 0.4192 0.3388
H -3.891 -5.219 -0.542 0.6759 -0.4749 0.2787
H -2.712 -6.614 -0.270 -0.1196 0.5843 -0.4479
H -1.606 -4.542 -1.594 -0.5963 -0.1317 0.9062
H -2.029 -3.611 -0.126 0.1558 0.6904 0.2335
H 3.689 -6.105 0.836 -0.0277 -0.1248 -0.2890
H 3.402 -5.141 -0.676 -0.2773 -0.3711 0.9379
H 3.263 -3.887 2.076 -0.1937 0.2370 0.5752
H 4.825 -4.224 1.226 -1.1597 0.4414 0.1383
H 3.614 -3.136 0.469 -0.1994 -0.1281 0.6454
H -0.030 -7.170 -1.430 0.2591 0.5180 -0.1292
H -0.299 -6.373 -3.004 -0.5210 0.3932 0.0831
H 2.289 -7.571 -2.227 0.4146 -0.7874 0.0799
H 1.153 -8.357 -3.450 -0.0495 -0.0253 0.3988
H 1.957 -6.771 -3.752 -0.5433 -0.9616 0.7599
C -2.602 0.942 0.373 0.6225 -1.1785 0.5385
S -2.139 -0.452 -0.707 -0.9477 -1.4908 1.1073
O -1.297 -1.433 0.115 -0.0460 1.0506 -0.4185
C -3.767 -1.311 -0.601 -1.0138 0.4608 -1.6080
H -1.736 1.598 0.298 0.0289 -0.1937 0.4468
H -2.904 0.574 1.394 0.6411 0.3853 -0.9854
H -3.423 1.442 -0.079 -0.9152 0.4270 -0.4937
H -4.031 -1.503 0.427 -0.0057 0.2634 0.4592
H -3.788 -2.297 -1.106 0.6823 0.5423 0.0718
H -4.570 -0.725 -1.155 0.9530 -0.3840 0.8834
C 5.206 -0.940 -2.609 0.2141 -0.4977 0.1042
S 3.821 -2.006 -2.133 -1.1550 1.1726 -0.6712
O 2.669 -1.032 -2.251 0.1143 -0.4171 0.4787
C 3.643 -3.040 -3.591 1.0724 -0.2523 0.3049
H 4.858 -0.194 -3.350 0.1678 -0.5701 0.3586
H 5.989 -1.617 -2.994 -0.0276 0.6373 0.1572
H 5.519 -0.438 -1.668 -0.0865 -0.3276 -0.7130
H 4.581 -3.582 -3.647 0.3662 -0.0247 -0.4691
H 3.403 -2.502 -4.498 0.1618 0.3823 -0.0765
H 2.922 -3.814 -3.425 -0.8001 -0.1814 0.4841
C 3.672 1.567 0.555 -1.5021 0.1568 0.0352
S 2.524 0.691 1.691 -0.0045 -1.3061 -1.0895
O 2.380 -0.798 1.309 0.0807 1.7450 -0.1294
C 3.623 0.595 3.036 1.1059 -0.5676 0.4734
H 3.680 2.616 0.874 -0.0134 -0.1925 0.1596
H 3.110 1.553 -0.394 0.7062 -0.2653 0.0139
H 4.678 1.167 0.584 0.0222 -0.3311 -0.2882
H 3.087 0.484 3.952 -0.4401 -0.1350 0.6338
H 4.222 1.480 3.075 0.3656 0.6176 0.1731
H 4.271 -0.288 2.891 -0.3069 0.3665 -0.0780
C 0.462 -0.238 -3.914 0.7740 1.0370 -1.7526
********
-- Assignment --
It remains to return the lines earlier on from the first line to the one with "3.110 1.553" verbatim.
-- Response --
115
Properties=species:S:1:pos:R:3:forces:R:3 method="wB97M-V/def2-TZVPD" multiplicity=1 relative_energy_kcal_mol=0.0 orbital_gap_ha=0.3041 e_homo_ev=-8.51 energy_ev=-135594.2901
Na 0.995 -0.931 -0.618 -0.0050 -0.7207 0.0959
O 0.330 1.034 -1.121 0.2610 1.3640 1.1174
H 0.571 1.764 -0.493 -0.3219 -0.9022 -0.9042
C -1.064 5.566 5.535 0.0871 0.4024 -1.0001
C -0.454 6.858 4.928 -0.4731 0.0648 1.8391
O -0.936 7.044 3.640 -0.9661 0.8553 -1.2021
P -0.546 6.296 2.317 0.7873 -1.5880 0.1300
O 0.870 5.883 2.315 -0.2322 0.3786 -0.3335
O -1.549 5.058 2.197 -0.1124 -0.5333 0.5264
C -1.175 3.710 1.696 0.3548 2.0800 -0.8684
C -0.306 2.986 2.718 0.0485 1.3879 -1.0261
O -1.037 7.268 1.195 0.2322 -0.1063 0.0611
C -2.343 7.171 0.608 -0.3012 0.0292 -1.8482
C -3.344 8.017 1.372 1.5031 0.0246 2.5054
H -1.144 5.637 6.596 0.0580 0.0080 0.8310
H -2.067 5.359 5.126 0.3177 0.3688 0.1094
H -0.450 4.711 5.270 0.1351 -0.1352 0.0510
H -0.769 7.784 5.504 0.2600 -1.1457 -0.5964
H 0.640 6.836 4.948 -0.0840 -0.1185 -0.1393
H -2.113 3.253 1.405 -0.3617 -0.2278 0.9272
H -0.798 3.910 0.678 0.8850 -0.3352 0.5727
H -0.941 2.811 3.543 -0.5654 -0.5639 1.1490
H 0.061 2.083 2.286 0.2240 -0.8136 -0.1462
H 0.543 3.611 3.055 -0.4392 -0.2393 -0.4520
H -2.186 7.403 -0.495 -0.2754 0.5045 1.4371
H -2.691 6.139 0.521 0.1937 0.0581 0.4999
H -4.227 8.133 0.847 -1.6354 0.6312 -1.5757
H -3.742 7.440 2.276 1.0738 0.8118 -0.7822
H -2.907 9.031 1.705 -0.7444 -1.6188 -0.5578
C -2.935 -5.549 -0.068 -0.3456 -0.0928 -0.6636
C -1.827 -4.595 -0.492 0.4348 -1.1528 -0.7011
O -0.604 -5.103 0.147 1.1529 0.3521 -0.3763
P 0.838 -4.710 -0.387 1.3755 1.0387 1.3751
O 1.322 -3.298 -0.431 -1.1540 -1.0676 -0.3363
O 1.807 -5.489 0.672 -2.0584 0.1198 -1.2503
C 3.182 -5.229 0.428 0.8612 -0.6758 -0.7966
C 3.711 -4.019 1.113 2.0156 0.4088 -0.7327
O 1.074 -5.360 -1.824 -0.8344 -0.7893 0.0201
C 0.443 -6.612 -2.257 0.1931 -0.5206 -0.2312
C 1.505 -7.453 -2.957 0.7246 2.2068 -0.6942
H -3.074 -5.525 1.003 0.0122 0.4192 0.3388
H -3.891 -5.219 -0.542 0.6759 -0.4749 0.2787
H -2.712 -6.614 -0.270 -0.1196 0.5843 -0.4479
H -1.606 -4.542 -1.594 -0.5963 -0.1317 0.9062
H -2.029 -3.611 -0.126 0.1558 0.6904 0.2335
H 3.689 -6.105 0.836 -0.0277 -0.1248 -0.2890
H 3.402 -5.141 -0.676 -0.2773 -0.3711 0.9379
H 3.263 -3.887 2.076 -0.1937 0.2370 0.5752
H 4.825 -4.224 1.226 -1.1597 0.4414 0.1383
H 3.614 -3.136 0.469 -0.1994 -0.1281 0.6454
H -0.030 -7.170 -1.430 0.2591 0.5180 -0.1292
H -0.299 -6.373 -3.004 -0.5210 0.3932 0.0831
H 2.289 -7.571 -2.227 0.4146 -0.7874 0.0799
H 1.153 -8.357 -3.450 -0.0495 -0.0253 0.3988
H 1.957 -6.771 -3.752 -0.5433 -0.9616 0.7599
C -2.602 0.942 0.373 0.6225 -1.1785 0.5385
S -2.139 -0.452 -0.707 -0.9477 -1.4908 1.1073
O -1.297 -1.433 0.115 -0.0460 1.0506 -0.4185
C -3.767 -1.311 -0.601 -1.0138 0.4608 -1.6080
H -1.736 1.598 0.298 0.0289 -0.1937 0.4468
H -2.904 0.574 1.394 0.6411 0.3853 -0.9854
H -3.423 1.442 -0.079 -0.9152 0.4270 -0.4937
H -4.031 -1.503 0.427 -0.0057 0.2634 0.4592
H -3.788 -2.297 -1.106 0.6823 0.5423 0.0718
H -4.570 -0.725 -1.155 0.9530 -0.3840 0.8834
C 5.206 -0.940 -2.609 0.2141 -0.4977 0.1042
S 3.821 -2.006 -2.133 -1.1550 1.1726 -0.6712
O 2.669 -1.032 -2.251 0.1143 -0.4171 0.4787
C 3.643 -3.040 -3.591 1.0724 -0.2523 0.3049
H 4.858 -0.194 -3.350 0.1678 -0.5701 0.3586
H 5.989 -1.617 -2.994 -0.0276 0.6373 0.1572
H 5.519 -0.438 -1.668 -0.0865 -0.3276 -0.7130
H 4.581 -3.582 -3.647 0.3662 -0.0247 -0.4691
H 3.403 -2.502 -4.498 0.1618 0.3823 -0.0765
H 2.922 -3.814 -3.425 -0.8001 -0.1814 0.4841
C 3.672 1.567 0.555 -1.5021 0.1568 0.0352
S 2.524 0.691 1.691 -0.0045 -1.3061 -1.0895
O 2.380 -0.798 1.309 0.0807 1.7450 -0.1294
C 3.623 0.595 3.036 1.1059 -0.5676 0.4734
H 3.680 2.616 0.874 -0.0134 -0.1925 0.1596
H 3.110 1.553 -0.394 0.7062 -0.2653 0.0139